# Input
<<<
No. 1
VASP calculation (PBE) on a geometry-optimized Ta2TePt structure.

a = 9.642 Å, b = 3.433 Å, c = 4.637 Å
α = 90.00°, β = 102.01°, γ = 90.00°
Space group C2/m (No. 12)
One atom of each set of equivalent atoms:
Ta  0.245  0.000  0.231 [4 per cell]
Te  0.000  0.000  0.500 [2 per cell]
Pt  0.000  0.500  0.000 [2 per cell]

Results
ΔE_f (raw) = 24.1 meV/atom
Calculated volume = 18.764 A^3/atom
Raw total energy = -8.20 eV per atom


No. 2
VASP calculation (PBE) on a geometry-optimized Y8NiSn2 structure.

a = 19.042 Å, b = 4.919 Å, c = 6.788 Å
α = 90.00°, β = 102.66°, γ = 90.00°
Space group C2/m (No. 12)
One atom of each set of equivalent atoms:
Y  0.015  0.000  0.282 [4 per cell]
Y  0.092  0.500  0.977 [4 per cell]
Y  0.144  0.500  0.506 [4 per cell]
Y  0.217  0.000  0.822 [4 per cell]
Ni  0.000  0.500  0.500 [2 per cell]
Sn  0.182  0.000  0.263 [4 per cell]

Results
DFT formation energy = -0.361 eV/atom
Calculated volume = 28.194 A^3/atom
Raw total energy = -6.32 eV per atom


No. 3
VASP calculation (PBE) on a geometry-optimized La6Pr16Sm7 structure.

a = 16.256 Å, b = 16.256 Å, c = 16.256 Å
α = 90.00°, β = 90.00°, γ = 90.00°
Space group Fm-3m (No. 225)
One atom of each set of equivalent atoms:
La  0.000  0.000  0.214 [24 per cell]
Pr  0.124  0.124  0.376 [32 per cell]
Pr  0.154  0.154  0.154 [32 per cell]
Sm  0.000  0.000  0.500 [4 per cell]
Sm  0.000  0.250  0.250 [24 per cell]

Results
DFT formation energy = 0.185 eV/atom
Calculated volume = 37.030 A^3/atom
Raw total energy = -4.61 eV per atom


No. 4
VASP calculation (PBE) on a geometry-optimized Be2Ni8Ge structure.

a = 6.339 Å, b = 9.777 Å, c = 4.078 Å
α = 90.00°, β = 110.29°, γ = 90.00°
Space group C2/m (No. 12)
One atom of each set of equivalent atoms:
Be  0.000  0.190  0.000 [4 per cell]
Ni  0.000  0.263  0.500 [4 per cell]
Ni  0.107  0.000  0.312 [4 per cell]
Ni  0.207  0.378  0.098 [8 per cell]
Ge  0.000  0.500  0.500 [2 per cell]

Results
DFT formation energy = -0.123 eV/atom
Calculated volume = 10.774 A^3/atom
Raw total energy = -5.43 eV per atom


No. 5
VASP calculation (PBE) on a geometry-optimized Li2AgAu structure.

a = 2.946 Å, b = 3.545 Å, c = 6.026 Å
α = 90.00°, β = 90.45°, γ = 90.00°
Space group P2/m (No. 10)
One atom of each set of equivalent atoms:
Li  0.001  0.000  0.240 [2 per cell]
Ag  0.500  0.500  0.500 [1 per cell]
Au  0.500  0.500  0.000 [1 per cell]

Results
DFT formation energy = -0.384 eV/atom
Calculated volume = 15.731 A^3/atom
Raw total energy = -2.87 eV per atom
Distance to the lowest polymorph of the same formula = 0.0102 eV per atom


No. 6
VASP calculation (PBE) on a geometry-optimized YZn11Co structure.

a = 5.065 Å, b = 12.585 Å, c = 6.748 Å
α = 90.00°, β = 111.97°, γ = 90.00°
Space group C2/m (No. 12)
One atom of each set of equivalent atoms:
Y  0.000  0.000  0.000 [2 per cell]
Zn  0.000  0.500  0.500 [2 per cell]
Zn  0.117  0.393  0.220 [8 per cell]
Zn  0.160  0.171  0.359 [8 per cell]
Zn  0.250  0.250  0.000 [4 per cell]
Co  0.000  0.000  0.500 [2 per cell]

Results
DFT formation energy = -0.176 eV/atom
Calculated volume = 15.342 A^3/atom
Raw total energy = -2.30 eV per atom


No. 7
VASP calculation (PBE) on a geometry-optimized AcIn2Cu2 structure.

a = 11.082 Å, b = 4.335 Å, c = 5.055 Å
α = 90.00°, β = 106.34°, γ = 90.00°
Space group C2/m (No. 12)
One atom of each set of equivalent atoms:
Ac  0.000  0.000  0.000 [2 per cell]
In  0.149  0.500  0.572 [4 per cell]
Cu  0.232  0.500  0.126 [4 per cell]

Results
DFT formation energy = -0.292 eV/atom
Calculated volume = 23.307 A^3/atom
Raw total energy = -3.85 eV per atom
Distance to the lowest polymorph of the same formula = 0.0000 eV per atom


No. 8
VASP calculation (PBE) on a geometry-optimized NaTmPb2 structure.

a = 3.842 Å, b = 3.842 Å, c = 7.789 Å
α = 90.00°, β = 90.00°, γ = 90.00°
Space group P4/mmm (No. 123)
One atom of each set of equivalent atoms:
Na  0.000  0.000  0.000 [1 per cell]
Tm  0.000  0.000  0.500 [1 per cell]
Pb  0.500  0.500  0.260 [2 per cell]

Results
>>>
# Request
Now duplicate the whole of the lines earlier on character by character.
# Outcome
No. 1
VASP calculation (PBE) on a geometry-optimized Ta2TePt structure.

a = 9.642 Å, b = 3.433 Å, c = 4.637 Å
α = 90.00°, β = 102.01°, γ = 90.00°
Space group C2/m (No. 12)
One atom of each set of equivalent atoms:
Ta  0.245  0.000  0.231 [4 per cell]
Te  0.000  0.000  0.500 [2 per cell]
Pt  0.000  0.500  0.000 [2 per cell]

Results
ΔE_f (raw) = 24.1 meV/atom
Calculated volume = 18.764 A^3/atom
Raw total energy = -8.20 eV per atom


No. 2
VASP calculation (PBE) on a geometry-optimized Y8NiSn2 structure.

a = 19.042 Å, b = 4.919 Å, c = 6.788 Å
α = 90.00°, β = 102.66°, γ = 90.00°
Space group C2/m (No. 12)
One atom of each set of equivalent atoms:
Y  0.015  0.000  0.282 [4 per cell]
Y  0.092  0.500  0.977 [4 per cell]
Y  0.144  0.500  0.506 [4 per cell]
Y  0.217  0.000  0.822 [4 per cell]
Ni  0.000  0.500  0.500 [2 per cell]
Sn  0.182  0.000  0.263 [4 per cell]

Results
DFT formation energy = -0.361 eV/atom
Calculated volume = 28.194 A^3/atom
Raw total energy = -6.32 eV per atom


No. 3
VASP calculation (PBE) on a geometry-optimized La6Pr16Sm7 structure.

a = 16.256 Å, b = 16.256 Å, c = 16.256 Å
α = 90.00°, β = 90.00°, γ = 90.00°
Space group Fm-3m (No. 225)
One atom of each set of equivalent atoms:
La  0.000  0.000  0.214 [24 per cell]
Pr  0.124  0.124  0.376 [32 per cell]
Pr  0.154  0.154  0.154 [32 per cell]
Sm  0.000  0.000  0.500 [4 per cell]
Sm  0.000  0.250  0.250 [24 per cell]

Results
DFT formation energy = 0.185 eV/atom
Calculated volume = 37.030 A^3/atom
Raw total energy = -4.61 eV per atom


No. 4
VASP calculation (PBE) on a geometry-optimized Be2Ni8Ge structure.

a = 6.339 Å, b = 9.777 Å, c = 4.078 Å
α = 90.00°, β = 110.29°, γ = 90.00°
Space group C2/m (No. 12)
One atom of each set of equivalent atoms:
Be  0.000  0.190  0.000 [4 per cell]
Ni  0.000  0.263  0.500 [4 per cell]
Ni  0.107  0.000  0.312 [4 per cell]
Ni  0.207  0.378  0.098 [8 per cell]
Ge  0.000  0.500  0.500 [2 per cell]

Results
DFT formation energy = -0.123 eV/atom
Calculated volume = 10.774 A^3/atom
Raw total energy = -5.43 eV per atom


No. 5
VASP calculation (PBE) on a geometry-optimized Li2AgAu structure.

a = 2.946 Å, b = 3.545 Å, c = 6.026 Å
α = 90.00°, β = 90.45°, γ = 90.00°
Space group P2/m (No. 10)
One atom of each set of equivalent atoms:
Li  0.001  0.000  0.240 [2 per cell]
Ag  0.500  0.500  0.500 [1 per cell]
Au  0.500  0.500  0.000 [1 per cell]

Results
DFT formation energy = -0.384 eV/atom
Calculated volume = 15.731 A^3/atom
Raw total energy = -2.87 eV per atom
Distance to the lowest polymorph of the same formula = 0.0102 eV per atom


No. 6
VASP calculation (PBE) on a geometry-optimized YZn11Co structure.

a = 5.065 Å, b = 12.585 Å, c = 6.748 Å
α = 90.00°, β = 111.97°, γ = 90.00°
Space group C2/m (No. 12)
One atom of each set of equivalent atoms:
Y  0.000  0.000  0.000 [2 per cell]
Zn  0.000  0.500  0.500 [2 per cell]
Zn  0.117  0.393  0.220 [8 per cell]
Zn  0.160  0.171  0.359 [8 per cell]
Zn  0.250  0.250  0.000 [4 per cell]
Co  0.000  0.000  0.500 [2 per cell]

Results
DFT formation energy = -0.176 eV/atom
Calculated volume = 15.342 A^3/atom
Raw total energy = -2.30 eV per atom


No. 7
VASP calculation (PBE) on a geometry-optimized AcIn2Cu2 structure.

a = 11.082 Å, b = 4.335 Å, c = 5.055 Å
α = 90.00°, β = 106.34°, γ = 90.00°
Space group C2/m (No. 12)
One atom of each set of equivalent atoms:
Ac  0.000  0.000  0.000 [2 per cell]
In  0.149  0.500  0.572 [4 per cell]
Cu  0.232  0.500  0.126 [4 per cell]

Results
DFT formation energy = -0.292 eV/atom
Calculated volume = 23.307 A^3/atom
Raw total energy = -3.85 eV per atom
Distance to the lowest polymorph of the same formula = 0.0000 eV per atom


No. 8
VASP calculation (PBE) on a geometry-optimized NaTmPb2 structure.

a = 3.842 Å, b = 3.842 Å, c = 7.789 Å
α = 90.00°, β = 90.00°, γ = 90.00°
Space group P4/mmm (No. 123)
One atom of each set of equivalent atoms:
Na  0.000  0.000  0.000 [1 per cell]
Tm  0.000  0.000  0.500 [1 per cell]
Pb  0.500  0.500  0.260 [2 per cell]

Results